Could you work out how many lines underneath have the word "isolated" in them; a number is enough?

____________
Version P
Density functional theory data (wB97M-V/def2-TZVPD) for an isolated molecule of C4H3F3.

Calculated values
* frontier orbital gap: 10.06 eV

```
10
Properties=species:S:1:pos:R:3:mulliken_charge:R:1
C -1.171 -1.369 0.422 -0.22
C -0.166 -0.684 -0.115 0.31
C 0.198 0.721 0.098 0.41
C 1.217 1.338 -0.465 -0.74
H -1.347 -2.405 0.194 0.38
H 1.397 2.405 -0.260 0.30
H 1.896 0.791 -1.135 0.28
F -2.051 -0.830 1.270 -0.22
F 0.655 -1.329 -0.945 -0.26
F -0.627 1.362 0.936 -0.24
```

=====

Version Q
Density functional theory data (wB97M-V/def2-TZVPD) for a cluster of 2 separate species, C4H3F3 in total.

Calculated values
* frontier orbital gap: 10.07 eV

```
10
Properties=species:S:1:pos:R:3:mulliken_charge:R:1
C -0.805 0.796 0.156 0.03
C -0.006 1.653 -0.122 0.42
C 2.790 -0.606 0.037 0.15
C -1.787 -0.324 0.300 -1.08
F 0.858 2.576 -0.355 -0.27
F 2.115 -1.567 0.601 -0.08
F 2.634 -0.911 -1.216 -0.08
H -1.365 -1.001 1.015 0.30
H -1.733 -0.789 -0.689 0.27
H -2.701 0.173 0.273 0.33
```

=====

Which of them is the most stable? Correct choice: version P.

=====

Version P
Density functional theory data (wB97M-V/def2-TZVPD) for a cluster of 5 separate species, C5H21NO5S in total.

Calculated values
* frontier orbital gap: 9.22 eV

```
33
Properties=species:S:1:pos:R:3:mulliken_charge:R:1
C 2.136 0.047 -0.087 -0.47
N 1.461 1.216 0.565 -0.20
C 0.104 1.357 0.195 -0.34
C -0.136 1.488 -1.314 -0.67
S -1.495 2.579 -1.768 -0.19
C -0.666 0.174 0.820 -0.15
O -2.000 0.295 0.530 -0.63
C 2.375 -1.017 0.996 -0.57
H 3.158 0.352 -0.496 0.29
H 1.466 -0.329 -0.842 0.01
H 2.033 2.044 0.545 0.31
H -0.309 2.320 0.519 0.53
H 0.908 1.968 -1.748 0.31
H -0.372 0.518 -1.713 0.22
H -2.444 1.947 -1.062 0.12
H -0.510 0.260 1.796 0.96
H -0.289 -0.739 0.274 -0.66
H -2.451 0.858 1.279 0.45
H 2.945 -0.644 1.903 0.30
H 1.269 -1.343 1.314 -0.15
H 3.023 -1.825 0.755 0.42
H 1.706 -2.150 -1.899 0.35
H 0.197 -2.429 -1.974 0.38
O 1.002 -2.567 -2.470 -0.65
H -1.475 -1.471 -0.427 0.38
H -2.368 -2.251 -1.527 0.30
O -1.494 -2.164 -1.013 -0.67
H -0.687 -3.546 0.450 0.35
H 0.068 -3.051 1.634 0.34
O 0.026 -3.921 1.156 -0.65
H 0.732 1.729 2.771 0.36
H 0.986 0.731 3.950 0.33
O 0.370 1.478 3.693 -0.70
```

=====

Version Q
Density functional theory data (wB97M-V/def2-TZVPD) for a cluster of 5 separate species, C5H21NO5S in total.

Calculated values
* frontier orbital gap: 8.63 eV

```
33
Properties=species:S:1:pos:R:3:mulliken_charge:R:1
C -1.087 -2.332 -0.209 -0.14
C 0.116 -2.707 0.837 -0.62
O -0.380 -2.739 2.201 -0.58
C -2.004 -1.231 0.085 -0.77
N -1.382 -0.299 1.173 -0.46
C -0.692 0.857 0.628 0.91
C -0.393 1.792 1.832 -0.77
S -0.065 3.508 1.473 -0.26
H -1.856 -3.210 -0.183 0.32
H -0.442 -2.311 -1.236 0.17
H 0.492 -3.747 0.591 0.34
H 0.777 -1.844 1.114 0.29
H -1.279 -3.026 2.234 0.28
H -2.162 -0.752 -0.915 0.16
H -2.915 -1.518 0.657 0.41
H -0.840 -0.867 1.822 0.48
H 0.295 0.757 0.136 -0.89
H -1.408 1.461 -0.009 0.31
H 0.548 1.445 2.361 0.35
H -1.286 1.732 2.559 0.38
H 1.247 3.427 1.185 0.14
H 1.301 2.599 -2.845 0.28
H 0.202 2.943 -2.049 0.30
O 0.426 2.461 -2.844 -0.59
H 3.052 1.694 1.391 0.26
H 2.230 1.056 0.382 0.28
O 2.173 1.749 1.136 -0.54
H 0.570 0.152 -3.042 0.31
H -0.966 0.484 -3.171 0.32
O -0.312 -0.250 -2.927 -0.59
H 2.356 -1.066 -1.645 0.35
H 1.382 -0.053 -1.350 0.22
O 2.302 -0.163 -1.373 -0.65
```

=====

Which of them is the most stable? Correct choice: version P.

=====

Version P
Density functional theory data (wB97M-V/def2-TZVPD) for a cluster of 2 separate species, H3O2PS in total.

Calculated values
* frontier orbital gap: 8.62 eV

```
7
Properties=species:S:1:pos:R:3:mulliken_charge:R:1
O -0.397 2.043 -0.074 -0.59
O 0.251 -0.893 0.220 -0.39
P -0.110 -2.426 -0.366 0.25
S 0.912 -3.745 0.565 -0.25
H 0.191 2.470 0.574 0.31
H -0.090 -0.295 -0.427 0.36
H -0.757 2.847 -0.491 0.30
```

=====

Version Q
Density functional theory data (wB97M-V/def2-TZVPD) for a structure of composition H3O2PS.

Calculated values
* frontier orbital gap (alpha / beta): 7.07 / 7.05 eV
____________

1